Honey, You Just Ain’t Fat Enough!

Over the course of the past week I believe God has been speaking a number of things to me… I’ve got the itch to write a few of my thoughts although I’m confident I could write a thesis if I included all of what I am contemplating.

Have you ever met someone that favor seems to follow? I’m not being arrogant or bragging when I say that for a large part of my life most of what I have put my hand to has prospered. (Don’t tune me out, I’m setting the stage for what is coming later…Understanding what has been the norm will give you perspective for why I’m writing this)

When it comes to work and employment, I’ve almost always been the one who received the “favor” with people of influence and administration. I’ve been the one promoted ahead of seemingly more qualified candidates, I’ve been sought after and recruited by “head hunters” in similar job fields (some even being jobs that I was unqualified for but were offered to me with the understanding that they would help me “get qualified” if I took the job), I’ve been sought out as a consultant by people of much greater renown and influence than myself…blah blah blah…

The point is, for whatever reason, I have understood what it feels like to be on top and have even jokingly told friends that I had a “midas touch”… In the midst of the favor, it was always a bit of an ongoing internal joke realizing that it had to be God because “on paper” I’m really not that special… Just a guy with a decent personality and maybe a slightly “above par” work ethic…

However, after years of successes, I hit a brick wall a couple of years ago that sent me into a whirlwind of, “Atypical” (to say the least) experiences.

Since that period of time, I have had a number of disappointments, discouragements, let downs, frustrations, you get the picture… For those of you gardeners out there with a “Green Thumb”, maybe you will understand my personal analogy of having a “Brown Thumb”.

One of the most difficult and personally discouraging of these experiences was when I signed on with a new company in the spring of 2007. This company had a PHENOM product, an AMAZING marketing plan, an OUTSTANDING compensation plan and seemingly, the sky was the limit for success. I knew with my background, experiences and influence that there was no way I could fail and I believed that in short time I would be among some of the most productive and respected in their sales force. It wasn’t long and I was rubbing elbows with ALL of their top producers, the VP’s, the President of the company… I was being mentored by the TOP guys in the company and in my mind was slated for success on the fast track!

Strangely, things didn’t quite work out the way I had planned… In times past, what was so easy for me to navigate now left me feeling like Frodo trying to walk through the bogs on my way to Mordor with the “One” ring growing ever heavier around my neck…HA! “My Precious!” (If you just said “WHAT?!” It’s Tolkien…Lord of the Rings…Bygones)…

I literally had the VP of marketing for this company tell me once that he had never seen someone work harder without success. (Which he meant as a compliment, but to me was like saying, “Something must be REALLY wrong with YOU if people with half your ambition, talent and skill set can be successful and you can’t…”). It was harsh and I felt like a failure.

This same VP also offered me some insight that seemed so far from logical to me at the time when he said, “Aaron, maybe God is just keeping you from success in this company”… My thoughts at that point were something along the lines of “Don’t patronize me…I don’t need your pity” … but time would reveal that perhaps this really WAS the case.

I ended up leaving this company, with my head down and tail tucked between my legs, but still over the course of the next couple of years, continued to follow this company to watch their trends and see what became of them. For a while they continued to see success, but then something happened at a corporate level that few saw coming. Those who “made the decisions” began to change the way they did business and how they treated their “producers” and in short time the company began to fold. Lawsuits arose, stocks plummeted, and sales crashed! None of this was foreseeable when looking at the company from a product or growth perspective, the problem was “internal” and the companies demise solely rested upon the shoulders of it’s founders.

I had no way of knowing what the future of such an apparently promising company held. But God, existing outside of my knowledge parameters did…

Next to the article, the page also holds data records =
(1)
{
  "formula": "HfTaNi",
  "functional": "GGA-PBE",
  "state": "optimized geometry",
  "crystal_system": "monoclinic",
  "delta_e_f_ev_per_atom": -0.208,
  "de_polymorph_ev_per_atom": 0.065,
  "energy_ev_per_atom": -9.4038,
  "lattice_angstrom": [[-1.4234, 4.0051, 0.4922], [-3.9513, -1.1976, -1.6816], [-0.7830, -3.1545, 4.8053]],
  "species": ["Hf", "Hf", "Ta", "Ta", "Ni", "Ni"],
  "fractional_positions": [[0.1038, 0.2642, 0.2077], [0.8962, 0.7358, 0.7923], [0.4122, 0.2433, 0.8244], [0.5878, 0.7567, 0.1756], [0.2323, 0.7905, 0.4646], [0.7677, 0.2095, 0.5354]]
}

=====

(2)
{
  "formula": "ZnTc2Pt2",
  "functional": "GGA-PBE",
  "state": "optimized geometry",
  "crystal_system": "tetragonal",
  "delta_e_f_ev_per_atom": 0.266,
  "de_polymorph_ev_per_atom": 0.071,
  "energy_ev_per_atom": -6.5519,
  "lattice_angstrom": [[-2.9035, 0.3537, 2.4012], [-2.4269, -0.4682, -2.8657], [-2.6192, -5.9387, 0.6898]],
  "species": ["Zn", "Tc", "Tc", "Pt", "Pt"],
  "fractional_positions": [[0.0000, 0.0000, 0.0000], [0.4062, 0.4062, 0.1876], [0.5938, 0.5938, 0.8124], [0.7500, 0.2500, 0.5000], [0.2500, 0.7500, 0.5000]]
}

=====

(3)
{
  "formula": "ZrCr",
  "functional": "GGA-PBE",
  "state": "optimized geometry",
  "crystal_system": "orthorhombic",
  "delta_e_f_ev_per_atom": 0.481,
  "energy_ev_per_atom": -8.6048,
  "lattice_angstrom": [[-0.1234, 1.0673, 2.8977], [2.6477, -2.9233, 1.1894], [4.4318, 3.5576, -1.1216]],
  "species": ["Cr", "Cr", "Zr", "Zr"],
  "fractional_positions": [[0.0000, 0.0000, 0.0077], [0.5000, 0.5000, 0.7423], [0.0000, 0.0000, 0.5356], [0.5000, 0.5000, 0.2144]]
}

=====

(4)
{
  "formula": "PmZn8Co2",
  "functional": "GGA-PBE",
  "state": "optimized geometry",
  "crystal_system": "tetragonal",
  "delta_e_f_ev_per_atom": 0.236,
  "energy_ev_per_atom": -2.4148,
  "lattice_angstrom": [[6.2263, 0.0000, 0.0000], [0.0000, 6.2263, 0.0000], [0.0000, 0.0000, 5.2044]],
  "species": ["Pm", "Zn", "Zn", "Zn", "Zn", "Zn", "Zn", "Zn", "Zn", "Co", "Co"],
  "fractional_positions": [[0.5000, 0.5000, 0.5000], [0.7914, 0.7914, 0.2394], [0.7914, 0.2086, 0.7606], [0.7914, 0.7914, 0.7606], [0.7914, 0.2086, 0.2394], [0.2086, 0.7914, 0.2394], [0.2086, 0.7914, 0.7606], [0.2086, 0.2086, 0.2394], [0.2086, 0.2086, 0.7606], [0.5000, 0.0000, 0.0000], [0.0000, 0.5000, 0.0000]]
}

=====

(5)
{
  "formula": "AcPr14Sc",
  "functional": "GGA-PBE",
  "state": "optimized geometry",
  "crystal_system": "tetragonal",
  "delta_e_f_ev_per_atom": 0.023,
  "energy_ev_per_atom": -4.8113,
  "lattice_angstrom": [[-5.4421, -3.6423, 3.4537], [5.0184, -3.8263, 3.8713], [-0.1691, 7.3365, 7.4706]],
  "species": ["Ac", "Pr", "Pr", "Pr", "Pr", "Pr", "Pr", "Pr", "Pr", "Pr", "Pr", "Pr", "Pr", "Pr", "Pr", "Sc"],
End of the data records =

Now I know some will immediately say “So God protected you, but what about the others who got burned”… I don’t know about the others, perhaps there were aspects of what transpired that would have effected things for me far beyond the monetary aspect of the “loss” had I been successful in that company. Perhaps it would have distracted me from a lesson that I have had to learn in that season. Perhaps lives that have been impacted wouldn’t have been if I had been trying to keep a sinking ship afloat… Who knows?!

All I can say is, considering the totality of the circumstances, maybe God was sheltering me from something even though, at the time, it felt like I couldn’t win for losing…

So, why share this story? Because, like me, many of you have been in or ARE presently in seasons where the “success” is seemingly just out of reach and for the life of you, you can’t figure out why! I’m realizing now that sometimes there is a “protection” in the rejection.

In my own experience I was really depressed at my own lack of success…But I’m believing now that perhaps my lack of success had NOTHING to do with me or my ability and EVERYTHING to do with God and his Omniscience.

Perhaps the entire experience has motivated me to greater levels of tenacity where maybe success and then failure in that season would have kept me from reaching for the “REAL” success that God has for me in the next season…

Maybe what I am understanding right now about God is preparing me for the “GREATER” thing, when success in that season would have actually held me back from progress in this season…

It’s true that every persons experience is different, but one constant remains…God knows what’s needed and right for each of us INDIVIDUALLY in order to meet our God ordained potential! That place is where and how that “God works all things together for the good of those who love Him and are called according to His purpose”… This is How and Why that success and failure are subjective based upon calling, election and season…

We are ALL more than we have become when seen through our Father’s eyes… If we continue to trust and follow Him regardless of how things appear, we will see with our own eyes what that really means…

I read in a book today that God wants to get us where God wants us to be more than we want to get there ourselves! If this is the case (which I believe it is), then the only way we can lose or fail is to refuse to proceed or quit altogether…

I had a funny thought today that “Fat, is a matter of perspective”…I’m sure that seems out of place at the end of this blog until you consider the phrase, “It ain’t over til the fat lady sings…”

Sometimes you just gotta look her in the face and say, “Honey, You Just Ain’t Fat Enough!”

If you can dig it, Say WORD!!!